Read Here's to Falling Page 26

  "Take me to church, Charlie. You were the only place I ever worshipped," he said, as he dipped his face toward me, brushing his lips against mine. His hands reached up and skimmed my cheeks, trailing down my face and neck, touching me like I was a long lost treasure. The soft touch was almost unbearable, a small whisper of a touch that moved over my skin—his eyes still fixed on mine.

  "Can I kiss you?" he asked with a deep whisper.

  I gasped out a sob as I nodded my head, too afraid to speak for fear my words would tangle with tears. The feeling in my chest was overwhelming.

  Slowly, deliberately, he lowered his lips to mine. I could hardly breathe. My chest tightened, heart beating fiercely against my rib cage.

  He stilled, just over my lips, and breathed me in. Anticipation and need wrestled between us. His chest moved faster, a quick rise and fall as he still kept his eyes fixed steadily on mine. He was making sure. He was making sure I saw only him, making sure I was okay.

## Someone pasted data records at this point
____________
# SrFeMoO5
Theoretical XRD peak list, Cu Kα X-rays. Input: a structure optimized by DFT (PBE+U).

Peak list (10 most intense, 10 to 90 degrees two-theta, in order of rising 2θ)
(0 1 0), d 4.474, rel. 29
(1 -1 0), d 3.548, rel. 100
(1 1 -1), d 3.357, rel. 90
(1 0 1), d 2.895, rel. 33
(0 1 1), d 2.841, rel. 35
(0 1 -2), d 2.804, rel. 41
(1 0 -2), d 2.719, rel. 37
(2 0 -1), d 2.414, rel. 25
(1 -2 2), d 1.897, rel. 19
(2 1 0), d 1.859, rel. 28

Crystal structure
```
SrFeMoO5
1.0
4.845 0.000 0.000
-0.270 4.929 0.000
-1.949 -2.393 5.164
Sr Fe Mo O
1 1 1 5
Direct
0.000 0.000 0.000
0.298 0.412 0.628
0.659 0.782 0.378
0.343 0.473 0.303
0.488 0.711 0.009
0.595 0.082 0.636
0.925 0.627 0.567
0.987 0.034 0.395
```

* * * * *

This entry pairs a crystal structure of Mg2Ni3P with its simulated powder diffractogram. Radiation: Cu Kα, 1.54184 Å. Structure: the PBE geometry in the Materials Project.

Largest 12 diffraction maxima, low angle first, 2θ = 5–70°:
2θ (°)	I_rel
22.2	51
24.7	56
26.4	10
39.3	23
42.7	96
44.2	74
45.3	100
47.0	30
50.6	24
54.4	33
60.6	13
67.0	8

Cell and atoms:
Cell: 4.9823 4.9823 10.8170 Å, 90.00 90.00 120.00°
Space group R-3m (No. 166, hexagonal axes)
Unique sites:
Mg 0.0000 0.0000 0.1259 (multiplicity 6)
Ni 0.0000 0.5000 0.0000 (multiplicity 9)
P 0.0000 0.0000 0.5000 (multiplicity 3)
____________
## The piece goes on

  And I was.

  All I saw was him.

  And then, his lips brushed softly over mine, and I melted into him.

  "Amen," he whispered against my lips. "Charlie...been all over the world, seen so many places, but I swear my favorite place is against your lips."

  A wild, breathless gasp escaped my lips as his hands pressed down around my face and his mouth crushed against mine. My hands flew up to his chest, fisting into his shirt, pulling him closer, greedily grasping, unable to get enough. There was so much sensation from such a simple kiss. It was staggering, disorienting. I hadn’t been kissed like that since the last time his lips were on mine. Whatever anybody else had offered me with their kisses was nothing more than a shadow of feeling compared to Jase’s.

  Our lips moved hot and wet over one another's, his tongue dipping into my mouth, shooting fire across my chest.

  His hands traveled up, threading his fingers through my hair and he broke away from our kiss. His hands fisted my strands of hair and pulled back until my face tilted up and our eyes were back to being fixed on each other. His warm breath blew across my cheeks; the rise and fall of his chest was wild as he gripped my hair in his fists. Sky blue eyes darted back and forth between my eyes and my mouth, and his jaw clenched tightly. I felt his chest shudder and inhale deeply against mine.

  "Here’s the twist to your story, Charlie. You ready for it?" he growled and nipped at my lower lip. "Breathe me in deep. Hold your breath. I will make you fall in love with me again. Because I sure as shit didn’t think I’d ever see you again, and I sure as shit didn’t think I could fall in love with you again, but I did." His hands gripped me tighter. "Like I was falling from a cliff, Charlie. Then...then…I realized when I hit the ground; I’ve been in love with you this whole time. It never stopped. I’ll never stop. I will never stop, and I will never give up on you." His voice lowered, “It was you from the beginning, the minute you taped that skull and crossbones to your window wearing those baggy jeans, that Nirvana T-shirt, and those God-awful chucks, you were my horizon. Everything I could ever see."

  The tone of his breathless words coiled heat through my belly. My heart went wild. God, I never thought I'd hear those words from him.

  "Too much? Too soon?" he shrugged and smirked.

  I shook my head. A few tears escaped down my cheeks. His fingers were quick to wipe them away.

  "Way I see it, it's not about the time we spent away from each other. And it's not about the time that we have left. It's about the moments—the moments that we shared. Every moment with you was an adventure, Charlie. Every one. You are my moments. And I'm not spending any more without you."

  I opened my mouth to speak but it got drowned away with a kiss–slow and languid, causing the slow burn in the center of my chest to ignite into an inferno.

  "The rest of your moments belong to me,” he whispered between my lips. "From now on, we go through everything side-by-side. Together, like we were always supposed to." He tilted his lips away and held his right hand up to mine, threading our fingers together. The two broken halves of our tattooed hearts became one. "You have the other half of my heart. Can't live without it anymore."

  I smiled back, and I swore my cheeks hurt. It was the first genuine smile I think I had in the last seven years.

  "I like the ending of this story," I whispered. "But...there are a few pages left, and I'm hoping there's a heavy sex scene before I hit the end."

  "Missed you so much, Charlie." His voice was soft, yet heady and gravelly. He slid his hands slowly up my arms and cupped the back of my neck, pressing his lips back against mine. A throaty growl tore past his lips as his tongue dipped past mine. Bursts of soft, sweet sensations filled my mouth. The taste of him, the feel, made me delirious.

  I closed my eyes, letting the heavy drugging feeling of his lips pull me under. My hands pressed against his chest and his heart thundered beneath my fingertips.

  My lips slid across his, our tongues slipping and dancing slowly, making me remember how he used to move deep inside my body. My God, I wanted him inside my body again.

  His hands slid down my back and wrapped around my waist, pulling me in closer. He broke off the kiss with labored breathing and murmured, "Can I touch you?"

  "God, yes.” My voice sounded raspy and breathless. An explosion of flames erupted low in my belly.

• These records of crystals were left in the text by mistake:
Record 1
Calculated powder diffraction line list
Compound: Th2AlSe
Radiation: Cu Kα (weighted mean of Kα1 and Kα2)
Structure: a structure optimized by DFT (GGA-PBE)

Top 6 peaks for 10 to 90 degrees two-theta, by intensity:
| 2θ/deg | Rel. int. | (hkl) |
| --- | --- | --- |
| 33.69 | 100 | 1 0 2 |
| 35.96 | 42 | 1 1 0 |
| 25.21 | 39 | 1 0 0 |
| 63.20 | 34 | 2 1 2 |
| 21.98 | 26 | 0 0 2 |
| 58.76 | 20 | 1 1 4 |

Structure:
```
data_Th2AlSe
_space_group_name_H-M_alt 'P 4/m m m'
_space_group_IT_number 123
_space_group_name_Hall '-P 4 2'
_cell_length_a 3.5322
_cell_length_b 3.5322
_cell_length_c 8.0863
_cell_angle_alpha 90.00
_cell_angle_beta 90.00
_cell_angle_gamma 90.00
loop_
_atom_site_label
_atom_site_fract_x
_atom_site_fract_y
_atom_site_fract_z
Th1 0.0000 0.0000 0.2431
Al1 0.5000 0.5000 0.5000
Se1 0.5000 0.5000 0.0000
```

=====

Record 2
Calculated powder diffraction line list
Compound: Ti6O11
Radiation: Cu Kα (weighted mean of Kα1 and Kα2)
Structure: a structure optimized by DFT (GGA-PBE)

Top 6 peaks for 10 to 90 degrees two-theta, by intensity:
| 2θ/deg | Rel. int. | (hkl) |
| --- | --- | --- |
| 29.77 | 100 | 1 0 -3 |
| 26.24 | 83 | 1 -2 0 |
| 28.41 | 79 | 1 -2 1 |
| 53.22 | 63 | 3 -2 1 |
| 22.62 | 50 | 1 0 -2 |
| 35.56 | 42 | 1 0 3 |

Structure:
```
data_Ti6O11
_space_group_name_H-M_alt 'P -1'
_space_group_IT_number 2
_space_group_name_Hall '-P 1'
_cell_length_a 5.6049
_cell_length_b 7.1859
_cell_length_c 9.8063
_cell_angle_alpha 90.03
_cell_angle_beta 100.47
_cell_angle_gamma 108.64
loop_
_atom_site_label
_atom_site_fract_x
_atom_site_fract_y
_atom_site_fract_z
Ti1 0.1790 0.1937 0.4343
Ti2 0.1818 0.6961 0.4386
Ti3 0.2257 0.1379 0.0831
Ti4 0.2294 0.6384 0.0853
Ti5 0.3110 0.5730 0.7435
Ti6 0.3133 0.0760 0.7429
O1 0.0145 0.9058 0.3914
O2 0.0537 0.5744 0.2574
O3 0.0968 0.3583 0.0264
O4 0.1225 0.0170 0.8903
O5 0.1843 0.7990 0.6457
O6 0.2103 0.4555 0.5327
O7 0.3399 0.2619 0.2841
O8 0.3638 0.9216 0.1522
O9 0.4066 0.6979 0.9248
O10 0.4347 0.3585 0.7953
O11 0.4732 0.1728 0.5649
```

=====

Record 3
Calculated powder diffraction line list
Compound: BC2
Radiation: Cu Kα (weighted mean of Kα1 and Kα2)
Structure: a structure optimized by DFT (GGA-PBE)

Top 6 peaks for 10 to 90 degrees two-theta, by intensity:
| 2θ/deg | Rel. int. | (hkl) |
| --- | --- | --- |
| 42.18 | 100 | 1 3 1 |
| 70.86 | 13 | 2 6 0 |
| 71.93 | 13 | 2 0 2 |
| 73.14 | 13 | 0 6 2 |
| 84.90 | 8 | 3 3 1 |
| 89.23 | 8 | 1 3 3 |

Structure:
```
data_BC2
_space_group_name_H-M_alt 'C 2 2 21'
_space_group_IT_number 20
_space_group_name_Hall 'C 2c 2'
_cell_length_a 3.8188
_cell_length_b 11.1194
_cell_length_c 3.6151
_cell_angle_alpha 90.00
_cell_angle_beta 90.00
_cell_angle_gamma 90.00
loop_
_atom_site_label
_atom_site_fract_x
_atom_site_fract_y
_atom_site_fract_z
B1 0.0000 0.0827 0.2500
B2 0.0000 0.2491 0.7500
C1 0.0000 0.4185 0.2500
C2 0.2278 0.5000 0.5000
C3 0.2362 0.3406 0.0035
```

=====

Record 4
Calculated powder diffraction line list
Compound: Pr3Nd4Ho5

  Please touch me.

  Lowering his hands, he tugged at the hem of the shirt that had fallen off my shoulders. It fluttered down my arms and pooled into a wrinkled lump around my feet.

  "So beautiful," he murmured, sliding his hands slowly up my sides. His fingers grasped softy at my skin, a touch that I fought years against remembering. The moment his fingertips met my bare skin, I sank into him, and all my emotions bubbled to the surface in tears from the perfect beauty of how it felt. Goose bumps spread like wildfire over my skin. My flesh only felt alive where his fingertips touched down; the rest of my body was just shadows and memories of us.

  But God, his kisses were better than I'd ever remembered.

  Then suddenly, his lips were gone, and he was sinking to his knees in front of me. His hands slid like silk over my breasts, across my hips, and around to the small of my back, drawing my body closer. I grabbed at his dark hair as he nipped and licked his way across the expanse of my breasts.

  I choked back a gasp when his mouth closed over a nipple and sucked hard. A surge of warmth flushed down the center of my body and throbbed hard against the apex of my thighs.

  His hands pressed at my back and finally, dropped to my hips, hooking his thumbs into the sides of my panties and twisting them tightly.

  I moaned and tugged at his hair as his hot mouth and tongue made their way over my belly. The anticipation of feeling him inside me again was unbearable. I never wanted anyone, never needed anything so much in my life. My body ached for him.

[Unrelated to this article: records of crystals]
/*
Tb2Se: computed XRD peak list (CuKα), based on a structure optimized by DFT (GGA-PBE).

Main lines, by angle (10° ≤ 2θ ≤ 90°):
h k l	2theta	I/Imax
1 1 -2	30.24	41.1
3 1 0	30.99	100.0
2 0 3	31.52	81.8
3 1 -1	32.19	56.8
3 1 1	32.59	30.8
1 1 -3	36.83	58.6
6 0 2	46.67	30.4
0 2 0	46.83	35.3

Atomic structure:
```
data_Tb2Se
_cell_length_a 12.9582
_cell_length_b 3.8796
_cell_length_c 9.6333
_cell_angle_alpha 90.00
_cell_angle_beta 91.89
_cell_angle_gamma 90.00
_space_group_name_H-M_alt 'C 1 2/m 1'
_space_group_IT_number 12
loop_
_space_group_symop_operation_xyz
'x,y,z'
'-x,-y,-z'
'-x,y,-z'
'x,-y,z'
'x+1/2,y+1/2,z'
'-x+1/2,-y+1/2,-z'
'-x+1/2,y+1/2,-z'
'x+1/2,-y+1/2,z'
loop_
_atom_site_label
_atom_site_fract_x
_atom_site_fract_y
_atom_site_fract_z
Tb1 0.0675 0.0000 0.2805
Tb2 0.1416 0.5000 0.5663
Tb3 0.1480 0.5000 0.9319
Se1 0.0000 0.0000 0.0000
Se2 0.2341 0.5000 0.2359
```

***

Dy7YTh3: computed XRD peak list (CuKα), based on a structure optimized by DFT (GGA-PBE).

Main lines, by angle (10° ≤ 2θ ≤ 90°):
h k l	2theta	I/Imax
0 2 -2	31.04	23.1
1 2 -1	31.84	100.0
2 -1 1	31.97	51.9
0 1 -3	32.12	74.5
-1 2 1	32.24	77.1
2 0 -2	32.78	66.8
1 1 2	33.58	49.5
1 -2 2	33.91	31.2

Atomic structure:
```
data_Dy7YTh3
_cell_length_a 6.4431
_cell_length_b 6.6959
_cell_length_c 8.6286
_cell_angle_alpha 101.26
_cell_angle_beta 97.30
_cell_angle_gamma 96.74
_space_group_name_H-M_alt 'P -1'
_space_group_IT_number 2
loop_
_space_group_symop_operation_xyz
'x,y,z'
'-x,-y,-z'
loop_
_atom_site_label
_atom_site_fract_x
_atom_site_fract_y
_atom_site_fract_z
Dy1 0.0000 0.0000 0.0000
Dy2 0.0720 0.7143 0.6439
Dy3 0.2082 0.2290 0.7044
Dy4 0.4922 0.7320 0.9251
Y1 0.0000 0.5000 0.0000
Th1 0.3229 0.9478 0.3353
Th2 0.5000 0.5000 0.5000
```


1.
For Ba6LiNb2IrCl2O12, a structure optimized by DFT (GGA-PBE) gives the computed powder diffraction line list in this record (Cu Kα X-rays).
No peak broadening, texture or thermal motion is included.

Principal peaks in the range 2θ from 10° to 90°, sorted by position:
2θ (°), I_rel
17.9, 30
24.5, 29
29.2, 58
29.5, 100
41.9, 32
52.1, 30

Atomic structure:
```
24
Lattice="6.061 0.000 0.000 -3.031 5.249 0.000 0.000 0.000 15.082" Properties=species:S:1:pos:R:3 pbc="T T T"
Ba 0.000 3.500 1.021
Ba 0.000 3.500 5.381
Ba 0.000 3.500 11.981
Ba 3.031 1.750 3.101
Ba 3.031 1.750 9.701
Ba 3.031 1.750 14.061
Li 0.000 0.000 7.541
Nb 0.000 0.000 2.765
Nb 0.000 0.000 12.317
Ir 0.000 0.000 0.000
Cl 0.000 3.500 8.624
Cl 3.031 1.750 6.458
O 0.000 1.624 13.819
O -1.624 4.437 13.819
O 0.000 1.685 3.669
O -1.572 4.407 3.669
O 1.406 0.812 1.263
O 1.459 0.842 11.413
O 1.572 4.407 3.669
O 1.624 4.437 13.819
O 4.603 0.842 11.413
O 3.031 3.565 11.413
O 4.655 0.812 1.263
O 3.031 3.625 1.263
```

***

2.
For RbHCO2, a structure optimized by DFT (GGA-PBE) gives the computed powder diffraction line list in this record (Cu Kα X-rays).
No peak broadening, texture or thermal motion is included.

Principal peaks in the range 2θ from 10° to 90°, sorted by position:
2θ (°), I_rel
*/
[Back to the article]

  Coarse, hot fingers slid across my hipbones.

  My eyes were locked on his movements. I couldn't stop watching it; the way he worshipped my skin, teased my body.

  His blue eyes shot up to mine as he looped his fingers into the middle of my undies and slowly dragged them across my wet flesh. Immediately, my knees bent, buckled, and I was melting, slowly spreading my thighs to him.

  Begging to be touched.

  Begging to be filled with him.

  "Can I taste you?" he whispered, nudging his lips against the front of my underwear. The heat of his mouth made my clit throb wildly, and I gasped, arching forward.

  He bit at the material, scraping softly against my skin, and the need to press myself against his mouth was maddening. But he's asking permission. He's asking permission for everything. Every beautiful step he took, he wanted me to be sure.

  And still, his fingers brushed over and over my flesh. He sucked at the front of the material, latching onto my clit and tightening his lips over me. The sensation was exquisite, the slow, hot pulls of his lips over the fabric and gentle long strokes of his fingers. My hands clutched onto the counter; dishes
and silverware clattered behind me.

  He pulled his mouth away and I moaned from the loss of pleasure. Raking his teeth over his bottom lip, he smiled up at me. "The smell of your skin is sinful, Charlie." And then my panties were being tugged down my thighs, past my knees and calves, in agonizingly, slow pulls. Spikes of heat tingled all over my body as I stared down at the man kneeling in front of my naked body. My breathing faltered. My lungs couldn't get in enough air.

  His eyes filled with emotion as he dragged them slowly up and down my body, taking me all in. "Damn, Charlie. You''re perfect. So beautiful." His hands dug into my thighs and tightened their grip on me. Jase softly kissed the tops of my thighs, and then pressed his mouth between my legs.

  "Oh, sweet Jesus," I cried.

  His hands gripped me tighter as his tongue explored, licking wildly against me. I swore he trailed it along every inch of me, leaving nothing out of bounds. Tension twisted and built, pressure pounded against my insides and tore down my legs. My knees buckled, and I tumbled to the floor with him.

  "You're making my knees weak, Jase."

  He crawled over my body, chuckling. "Mmm-hmm. Can't wait to watch you come apart for me." He scooped me into his arms. Suddenly, I was airborne, and he was carrying me through his apartment and into his bedroom.

  His lips attacked mine as he walked. My fingers raked through his hair, pulling and yanking. I could taste myself on his mouth and it drove me insane. We fell onto the bed together, his body landing over mine, and I automatically wrapped my legs around him. With his tongue still dipping into my mouth, his hands pawed and pressed at my flesh. Fingertips pressed down and dug their way over my arms, my waist, my legs, until both of his hands were cupping my bottom, grasping at my skin. His mouth continued to slide over mine, his chest panting hard against mine, his heavy weight pushing me into the mattress. His fingers slid along the crease of my bottom, moving it upward in slow lazy circles. "So wet," he mumbled between kisses. "Need you."

  Then, his movements stilled. His forehead dropped against mine and his eyes looked into mine. His breaths were heavy; his heart crashing against my chest. "Need you, Charlie."

  He was asking if he could.

  His blue eyes pleaded, begging for it to be okay. It’d been so long, so very long since someone looked at me like that—so long since someone touched me the way he did. The intensity of it all brought tears to my eyes.

  "Yes, God yes, Jase. Please, don't stop," I whispered. "Don't ever stop, Jase. I want this. I want you."

  He backed away slowly, reluctantly pulling himself from my body, and leaned back, sinking his knees into the mattress. Gathering the material at the hem of his shirt, he lifted it above his head and tossed it off to the side.

  Oh, my God.

  My name was written besides Joey's across his chest, splashed in thick, dark ink across hard, twisted, tight muscles. His body was ripped. Tight. Flexed. Ready to pounce.

  My mouth hung open. I heard myself gasp and my cheeks heated. He was stunning. Ten times broader and stronger than the last time I'd seen him shirtless. He was all man. Fire ignited deep inside me, the sweet sensation of its heat mushroomed throughout my body.

  Somewhere in the background of the apartment, the song played again. I had it on loop while I was cooking. It intensified the way he looked at me. The sound of the singer's slow, deep voice was sexy and desperate. What was it about the song that made the moment feel so sublime? As if we had our own soundtrack to our story? Or maybe it wasn't the music at all. Maybe it was just the way Jase stared down at me while the music played. It was as if all my senses were heightened, just because those blue eyes were watching me. Every sound, every touch, everything was just more. He looked at me as if I were something precious and I realized at that moment that Jase had always looked at me like that.

  Standing up, his fingers tugged slowly at the buttons of his pants. Then in one smooth movement, he slid them down. Jase was gloriously naked in front of me, and I was practically breathless, panting desperately with need and want.

  For a brief moment I froze, utterly paralyzed, watching the impossible beauty of the man standing in front of me as he stared back down toward me with a look of the most untouchable emotion I swore I'd never know again. His gaze locked on mine and it burned through me. I was lost, deeply and completely.

  Crawling onto the edge of the bed, his hand skimmed over my ankles, slowly up to my knees. My skin awakened and screamed for more.

  He lowered and gently ran his tongue up my calf. A low moan escaped my lips, making me clench my fists at the blankets beneath me. He continued the slow assault up my flesh and I got lost in the sensations of his tongue and lips–his fingers and skin.

  Then a sharp thrill coiled deep inside me as both of his hands pushed at my inner thighs, spreading me wide open before his eyes. Cool air touched and tingled along my skin with the heat of his breath. I fisted the sheets tighter in my hands; the anticipation of his touch made me want to push myself into his mouth.

  Delicately, he slid one finger over me, stroking me; everywhere he touched made me gasp out a small, low moan. I lifted myself onto my elbows to watch. God, he was sexy. Blue eyes stared up at me, his face between my legs, breathing his heat against me. His hands pressed my thighs wider and I wiggled and squirmed in want. He dug his fingertips into the tops of my legs and pulled me into him.

  Then his mouth was on me, licking and sucking. I arched toward him and moaned loudly as his tongue stroked and nipped.

  "You taste sinful," he growled, voice thick and hoarse, full of desire.

  "Oh, God...yes," I whimpered, rolling my hips to match the exquisite motions of his mouth. Every hot, wet, thrust of his tongue deep inside me sent me closer to the edge.

  Then, his fingers joined in pushing deep inside me, and pleasure coiled and twisted wherever he touched. My stomach muscles clenched; my breathing accelerated until my lungs burned. Wet heat gushed through my core, meeting his mouth, and a hum of delicious sounds fell past his lips.

  His fingers stroked and curled again and again as his tongue lashed and sucked on my clit. The sensation was torturous. Each touch was promising to send me closer and closer to the edge. The sweet rhythm of his wet mouth had me soaring higher and higher. I felt as if I were a small spark ready to explode, burning everything around me.

  Abruptly, his movements stopped, and I was left aching and clenching.

  He pulled his face up, his breathing ragged and panting. His wicked eyes traveled up the rest of my body as he slowly began teasing and kissing the sides of my inner thighs, moving his way up toward my belly.

  "Oh, my God, Jase. I think you're trying to kill me."

  A small chuckle rumbled through his chest as he crawled up my body until his mouth latched onto my nipple, sucking and pulling at it so hard I could feel the tightening pull deep in my belly.

  I needed him then. I couldn't wait any longer.

  I wanted him to stop. The sensations were too much. I needed him inside me, filling me.

  I pushed up to sit; his mouth lifted, meeting mine. Our tongues twirled and slid against each other.

  One hand cupped my face as both of mine ran over the hard muscles of his chest. As I did, I could distinctly feel the hard, strong beating of his heart, pounding against his chest.

  I inched closer, wanting to feel my chest against his.

  Then, everything stilled.

  We both stopped, eyes locking.

  I could feel him. The heavy heat of him—right at my opening.

  The way his eyes were fixed on me, the way his lips parted and his breathing came out gasping; I knew he could feel it too.

  He was right there, almost inside me, skin to skin.

  We both looked down between us. His fist was wrapped around his length, exactly where it needed to be, exactly where I wanted it to be.

  My body trembled with want; the feeling of him laying against my entrance was maddening. I heard him gasp, watched him squeeze tighter aroun
d his shaft. I looked back into his eyes. His expression was heady, desperate; he had no control. Finally, I felt the smallest rock of his hips against me.

  I matched his gasp.

  "Please..." I begged. My voice shook and cracked, "Oh, my God, Jase...please."

  The hand cupping my face slid around my neck and twisted a fist into my hair. My eyes met back with his.

  Then, the feeling of hot pre cum slid over my clit, making it pulse and throb.

  I could have come with just that sensation alone. Tingles and tiny sparks of something danced deep inside me.

  I wanted to move, but his hand dropped to my hip and held me still. My body shuddered with need, aching and pulsing.

  He gripped my hip tighter, but I rocked into him, sliding the head of his cock over my wet skin.

  "Fuck, Charlie. You good. I need...I need..."

  His hands clamped down over my hips, and without either of us being able to speak, I slid down over his length, stretching over him. His gasps and moans were the most beautiful sounds I'd ever heard.

  He tightened his grip on me, digging his fingers into my skin. And then he was pushing and plunging into me. Long, slow, hard strokes. My head dropped back and his mouth latched onto my neck.

  "Feel so good, baby." His voice rumbled as he pushed my body back into his mattress and buried himself deep inside me.

  Our lips met again, and a deep pleasure began building slowly, intensely. A rush of pure, unadulterated pleasure bubbled low as the sensations tightened and climbed.

  The orgasm hit me so fast and hard that I cried out his name as my body shook and clenched around him. He rode wave after wave, thrusting through it, spilling his own release with a sudden shudder.

  We laid there, him still inside me, until our breathing slowed, both staring into each other's eyes.

  His fingers traced slowly over my skin. "I'll never let you go again, Charlie." His lips touched down against the tip of my collarbone. "Can't get enough of you."